Chapter Sixteen: Niyol

**Calculated molecules, as found in the file:**
<<<
(1)
Formula: C4H14N2OS
Source: the Open Molecules 2025 dataset
Level of theory: ωB97M-V/def2-TZVPD

2S+1: 2
ΔE to the lowest compared entry with this formula, charge and spin: 13.78 kcal per mole
HOMO level (alpha / beta): 0.97 / -5.44 eV
gap between HOMO and LUMO (alpha / beta): 2.1 / 8.4 eV
charge: -1
M: 138.2 g mol⁻¹
expectation value of S²: 0.752

Geometry (Å):
S (-1.075969, -1.072364, -2.065863)
O (-2.279470, 2.021880, 1.624121)
N (0.071750, 0.230621, 0.764617)
N (1.302567, -0.904973, 2.543639)
C (0.223745, 0.011378, 2.169956)
C (1.244545, 0.433874, -1.459284)
C (0.707295, -0.962301, -1.756619)
C (1.206165, 0.811379, 0.056807)
H (-0.694910, -0.206286, 0.270396)
H (-1.556206, 1.602600, 1.122456)
H (2.297375, 0.403726, -1.722558)
H (2.139265, 0.492057, 0.499398)
H (1.042765, 1.888214, 0.067476)
H (1.208860, -1.385766, -2.620204)
H (0.382742, 0.950115, 2.727174)
H (-0.723119, -0.411437, 2.524746)
H (-1.886545, 2.155064, 2.499197)
H (1.743033, -1.384310, 1.776765)
H (0.721693, 1.165613, -2.052007)
H (1.968830, -0.534363, 3.205790)
H (-1.129582, -0.333185, -3.189806)
H (0.854186, -1.673678, -0.941151)

Cartesian forces (eV/Å) of the 2 atoms listed first:
S -0.208 -0.236 0.535
O 0.343 0.077 0.276



(2)
Formula: C10H11IN
Source: the Open Molecules 2025 dataset
Level of theory: ωB97M-V/def2-TZVPD

HOMO level: -12.19 eV
gap between HOMO and LUMO: 7.2 eV
charge: +1
M: 272.1 g mol⁻¹

Geometry (Å):
I (-2.305396, 1.073630, 1.469890)
N (0.217240, 0.192448, -0.472563)
C (-2.454335, 1.868817, -0.538478)
C (-0.241006, 0.935279, 0.857905)
C (0.513308, 0.577359, 1.987812)
C (-0.639393, -0.529301, -1.307757)
C (1.432745, -0.511848, -0.373326)
C (-1.220108, 2.124127, -1.006544)
C (1.655423, -0.127016, 1.962163)
C (0.049867, 1.690158, -0.374167)
C (-1.042351, -1.975146, -0.635848)
C (2.174025, -0.565228, 0.722172)
H (-0.101840, -0.966554, -2.196911)
H (0.921409, 2.319382, -0.578164)
H (1.741531, -1.008123, -1.263967)
H (2.119857, -0.419947, 2.885144)
H (0.052380, 0.909859, 2.912408)
H (-0.346397, -2.833273, -0.922060)
H (3.009376, -1.427807, 0.814838)
H (-2.007932, -2.165234, -0.999680)
H (-1.551514, 0.042422, -1.496759)
H (-0.820374, -1.840385, 0.438423)
H (-1.156516, 2.636384, -1.884531)

Cartesian forces (eV/Å) of the 2 atoms listed first:
I 0.809 -0.572 -0.525
N 0.820 0.709 0.636

----------

# Br3O3P

A molecular structure, Br3O3P at a distorted geometry (ωB97M-V/def2-TZVPD, the Open Molecules 2025 dataset).

**⟨S²⟩**: 2.008
**Kohn-Sham gap (alpha / beta)**: 8.837 / 6.509 eV
**2S+1**: 3
**Energy above the lowest of the compared OMol25 structures with the same formula, charge and spin**: 0.0 kJ/mol

Geometry (Å):
1 O 1.078 0.392 -1.036
2 O -0.427 1.123 0.955
3 O -0.603 -1.280 0.091
4 P -0.202 0.253 -0.374
5 Br 0.766 0.823 2.262
6 Br -1.910 0.932 -1.446
7 Br 0.181 -2.948 0.897

---

# C16H44O6

6 unconnected molecules or ions with the total composition C16H44O6 at a distorted geometry (ωB97M-V/def2-TZVPD, the Open Molecules 2025 dataset).
>>>

The image of Jason and Monica's dead bodies were seared into Camo's mind, and she thought she heard them speak.

Awake  Jason said.

Rise  Monica said

Come back to the living, you are not dead, your spirit belongs within this realm. I command thee, as a Cein, Awaken!

The voices were not Monica or Jason, but Camo was listening. She wanted to know who it was, who was calling her away from them? Didn't they know she missed them, that she needed them?

"Rise, Child. You are alive." The voice said again.

Opening her eyes, Camo met the bright blue eyes of a very decorated and old Native. Their eyes sparkled as they touched her cheek.

"She has awoken." They said, not to her, although the eyes never left hers.

Everything felt surreal, her mind was still in the past, with her boyfriend and best friend, the two who made her happy. The two she lost because she wasn't a good enough leader.

"Camo! Thank God, Camo, you're alive!" A familiar voice said.

Someone took her hand, and she moved her head. Her eyes met green eyes, bright with tears.

"God you worried me, Camo." He said quietly.

Slowly, Camo forced a smile. It wasn't hard, it was her usual smile, always forced.

"As if I'd die, Damien. I need to keep your ass in check."

The smile that lit up his face was almost heart warming. Almost. Camo's heart still hurt from the memories she had been suppressing for the past year. She had lost everything then. Everyone.

"How are you feeling, Cam?" Damien asked.

Everyone except Damien. He had become her everything. She relied on him for her sanity. He was her only link to the past. To her happiness. Even if it was rare for her to be happy.

"Cam?" Camo asked. "When did you start calling me that?"

Damien began to blush, averting his eyes.

"Oh, uhm, I just thought..." Damien trailed off.

"Yes? You thought?" Camo encouraged.

"I... Dunno... " Damien said weakly.

Rolling her eyes, Camo went to sit up.

### Records of molecules that have nothing to do with the article
<<<
# C12H21N5OS

A cluster of 6 separate species, C12H21N5OS in total (the ωB97M-V functional and the def2-TZVPD basis, the Open Molecules 2025 dataset).

Calculated values
Orbital gap, Ha: 0.3546
Relative energy (zero: lowest compared OMol25 entry of this formula, charge and spin), kJ/mol: 374.6
HOMO, eV: -9.59

Structure (ORCA input):
```
! wB97M-V def2-TZVPD RIJCOSX def2/J DEFGRID3
* xyz 0 1
S 0.463 2.249 -1.735
O 0.549 0.805 -1.359
N 2.463 -1.972 -3.357
N -0.206 -0.195 -5.823
N -2.141 -4.530 1.870
N -0.697 0.542 2.918
N -2.756 -0.685 -0.551
C -1.277 -0.920 -3.565
C -0.934 3.104 3.357
C -0.783 1.672 3.094
C -0.877 -3.017 3.557
C 2.794 -1.894 -2.264
C -0.422 -1.512 0.251
C -0.686 -0.523 -4.832
C 3.202 -1.771 -0.878
C -0.830 2.890 -0.644
C -1.572 -3.860 2.602
C -1.733 -1.059 -0.196
C 1.807 3.081 -0.857
H -1.577 3.565 2.615
H 2.378 -1.936 -0.188
H 0.035 -2.154 -0.498
H -0.750 -3.560 4.493
H -0.983 3.938 -0.900
H 4.006 -2.460 -0.613
H -0.597 -1.986 1.215
H -1.902 -1.805 -3.640
H 1.514 4.121 -0.708
H 0.267 -0.693 0.435
H -0.455 -1.162 -2.887
H -1.364 -2.054 3.700
H -1.374 3.204 4.350
H 0.132 -2.766 3.219
H 2.714 3.086 -1.458
H 3.614 -0.786 -0.652
H -1.724 2.290 -0.801
H 1.962 2.527 0.066
H 0.048 3.572 3.396
H -1.810 -0.089 -3.113
H -0.497 2.746 0.383
*
```

***

# C12H21NO

The molecule C12H21NO (the ωB97M-V functional and the def2-TZVPD basis, the Open Molecules 2025 dataset).

Calculated values
Orbital gap, Ha: 0.3560
Relative energy (zero: lowest compared OMol25 entry of this formula, charge and spin), kJ/mol: 301.7
HOMO, eV: -9.18
SMILES string: CC(C)(C)C1(C(C)(C)C)CC=NC1=O

Structure (ORCA input):
```
! wB97M-V def2-TZVPD RIJCOSX def2/J DEFGRID3
* xyz 0 1
O -2.062 0.383 -1.759
N -2.744 0.903 0.356
C -0.126 -1.446 -0.034
C 0.113 2.566 -0.407
C -2.220 0.872 1.511
C 2.047 1.319 0.394
C 1.133 -1.887 0.782
C -1.791 0.512 -0.617
C 1.159 0.853 -1.899
C -0.767 0.413 1.590
C -0.319 0.091 0.196
C -1.450 -2.051 0.670
C 0.714 1.167 -0.369
C -0.021 -2.026 -1.496
H -2.801 1.122 2.475
H 2.233 0.529 -1.872
H -0.837 2.788 -0.763
H -0.474 -0.363 2.330
H -0.289 1.326 2.052
H 1.015 1.753 -2.422
H 1.087 -1.386 1.795
H -1.659 -3.107 0.301
H 1.928 2.250 1.037
H -0.386 -3.068 -1.422
H 2.291 0.524 0.992
H 2.883 1.618 -0.301
H -1.333 -2.252 1.814
H 1.005 -1.864 -1.783
H 0.555 0.139 -2.334
H 0.785 3.105 -0.943
H 0.058 2.994 0.586
H 2.144 -1.663 0.272
H -2.367 -1.508 0.534
H 1.185 -3.001 0.982
H -0.688 -1.603 -2.248
*
```

***

# C12H22BF2N3O4

A cluster of 2 separate species, C12H22BF2N3O4 in total (the ωB97M-V functional and the def2-TZVPD basis, the Open Molecules 2025 dataset).

Calculated values
Orbital gap, Ha: 0.2518
HOMO, eV: -8.69

Structure (ORCA input):
```
! wB97M-V def2-TZVPD RIJCOSX def2/J DEFGRID3
* xyz 0 1
F 3.823 4.680 -3.234
F 5.015 3.394 -4.688
O 5.119 2.895 -2.378
O 2.523 0.616 -2.469
O 3.139 2.447 -3.603
O 4.950 1.163 -0.957
N -0.921 0.935 2.635
N -2.911 1.603 1.609
N -1.525 0.731 0.247
C -1.677 1.080 1.518
C -3.748 0.862 0.649
C 1.086 0.619 0.282
>>>

"No. Stay still and rest. Your soul must center." The decorated native said.

"What?" Camo asked.

"I got it from here, Grandmama." A native boy said, walking up. "What she means is that you nearly died. You need to rest."

"I agree. You need to rest." Damien said.

"But-" Camo began to argue.

• Records of molecules, as found in the file:
Entry 1:
Molecular formula: C4H5N
Method: DFT, wB97M-V/def2-TZVPD

Properties
E_HOMO: -9.73 eV
LUMO: 0.91 eV
relative energy (zero: lowest compared OMol25 entry of this formula, charge and spin): 3.633 eV
frontier orbital gap: 10.64 eV
E: -210.0302 hartree

Each line ends with the natural charge from an NBO analysis.
Geometry (Å):
C 1.991477 -0.523381 0.135602  -0.5091
C 0.730727 -0.663417 -0.272304  0.1138
C -1.776871 2.066462 1.357793  0.2893
C -0.427328 -0.800241 -0.862108  -0.4984
N -0.711249 2.530715 1.357312  -0.7541
H 2.923503 -0.469191 -0.468682  0.2262
H 2.165889 -0.616430 1.106459  0.2028
H -0.578556 -1.762418 -1.278361  0.2237
H -1.226632 -0.019535 -1.083808  0.2400
H 0.212156 2.901102 0.989085  0.4659

Forces on atoms 1 to 3 (eV/Å):
-1.6 -0.2 -3.8
1.6 1.0 -0.7
-0.4 -0.2 0.2

---

Entry 2:
Molecular formula: C3H6N2
Method: DFT, wB97M-V/def2-TZVPD

Properties
E_HOMO: -10.20 eV
LUMO: 0.34 eV
relative energy (zero: lowest compared OMol25 entry of this formula, charge and spin): 0.913 eV
frontier orbital gap: 10.54 eV
E: -227.3913 hartree

Each line ends with the natural charge from an NBO analysis.
Geometry (Å):
H -2.895975 -0.277544 -0.407193  0.3433
N -1.980925 0.175416 -0.294433  -0.5891
C -1.079225 -0.729304 -0.111933  0.0756
C 0.369595 -0.374884 0.089537  0.2342
C 0.791605 1.063766 0.049697  -0.6990
N 1.210795 -1.344384 0.265967  -0.5839
H 2.160405 -0.969494 0.376747  0.3321
H -1.310545 -1.806904 -0.090933  0.1778
H 1.423775 1.277376 0.916597  0.2270
H 1.370305 1.239646 -0.861443  0.2339
H -0.059805 1.746306 0.067387  0.2483

Forces on atoms 1 to 3 (eV/Å):
0.3 0.2 0.0
1.0 -1.2 0.2
-0.7 0.6 -0.1

---

Entry 3:
Molecular formula: C2HClN2OS
Method: DFT, wB97M-V/def2-TZVPD

Properties
E_HOMO: -9.41 eV
LUMO: -0.23 eV
relative energy (zero: lowest compared OMol25 entry of this formula, charge and spin): 1.725 eV
frontier orbital gap: 9.19 eV
E: -1119.8540 hartree

Each line ends with the natural charge from an NBO analysis.
Geometry (Å):
N -1.548368 3.345627 2.471643  0.0111
N -0.652673 3.054136 3.117300  -0.1817
S 0.674605 2.714963 3.695088  0.1718
O 1.427553 0.092813 1.625195  -0.4281
C 1.177489 0.679289 0.622971  0.6828
C 1.167991 1.388164 -0.459236  -0.5477
Cl 0.375889 0.955190 -1.967650  0.0227
H 1.846408 2.220347 -0.526151  0.2690

Forces on atoms 1 to 3 (eV/Å):
1.4 -0.7 2.0
-5.4 1.9 -4.4
3.9 -1.1 2.4

---

Entry 4:
Molecular formula: C27H39Cl5N2O5PtSSiTe2
Method: DFT, wB97M-V/def2-TZVPD

Properties
E_HOMO (alpha / beta): -6.75 / -7.48 eV
2S+1: 5
expectation value of S²: 6.021
LUMO (alpha / beta): -0.24 / -2.22 eV
relative energy (zero: lowest compared OMol25 entry of this formula, charge and spin): 0.000 eV
frontier orbital gap (alpha / beta): 6.51 / 5.26 eV
E: -5182.1443 hartree

Each line ends with the natural charge from an NBO analysis.
Geometry (Å):
Pt 0.239373 2.408251 0.701426  0.6280
Cl 5.117301 -1.086159 4.826272  0.0376
C 4.341366 -0.114852 3.631859  -0.1379
C 3.247062 0.678576 3.966882  -0.0866

"No." Both the Native boy and Damien said in unison.

Sighing and clearly annoyed, Camo stayed on her back.

"What now?" Camo asked. "I feel fine."

"Only because of the herbs you have. The pain would be killing you otherwise." The Native said.

"Just rest, Camo." Damien said, squeezing her hand.

"I'll get her more herbs." The Native said.

Damien nodded, looking away from Camo and to the boy.

"Okay. Thanks..." Damien began, then paused, not sure what to call the boy.

"Niyol. My name is Niyol." The Native boy said.

"Thanks Niyol." Camo croaked, now in obvious pain.

Niyol smiled at Camo sweetly, his eyes soft as they met hers.

"No problem."

Niyol walked off, out of the tent Camo just now realized they were in.

"Damien?" Camo asked after a moment.

"Yeah Camo?" Damien replied, looking away from the tent opening and to Camo.

"Where are we?" She asked, sitting up and looking around despite what Niyol had told her.

"At an Indian camp in some Canyons. The doctor's assistant, Chiliam, said only these guys could heal you." Damien explained.

"From what, exactly? Wasn't it just a bite?" Camo asked, pulling off the tunic she had been given.

She gritted her teeth with effort, but managed to pull her tunic off, with only some panting.

Her top was completely bare except for the wrappings around her shoulder.

Out of the corner of her eye, Camo saw a blush go across Damien's face and he turned his head away. Camo ignored his reaction for the most part, chuckling in her head, but only for a moment, before her heart grew heavy again. She had forgotten who's company she was in, how similar she felt for them both. Except Damien was here, with her, and Jason had been gone for a year now. Damien has only ever been her partner, Jason had been so much more.

Drawing herself from her thoughts, she looked at the bandages, going to unwrap them and check the bite.

"Uhm, yeah. It, uh, it was. Kinda. It was from what they call " The Devil of the Desert." Damien explained.

"That sounds lovely." Camo said sarcastically.